What is JUST?
JUST is a non-profit financial platform that invests in women leaders through capital, knowledge, and community in order to close the racial wealth gap in Texas.

What services does JUST offer?
JUST offers loans, knowledge and community to women leaders.

What type of loans do you offer?
At JUST we offer two types of loans, business loan and personal loan. Business loans are for women looking to start or grow their business with the backing of a support group. Personal loans are to be used in whatever, it could be an emergency expense or something unforeseen.

What are the benefits of being a JUST entrepreneur?
As a JUST entrepreneur you will have exclusive access to business loans, entrepreneurship workshops, access to our online community and above all, you will be part of a large family of women leaders who support each other.

What comes next are records of crystals, not part of the entry:
=====
Record 1
Entry from the Materials Project: a geometry-optimized DyCdPd2 structure (PBE).

Cell lengths 4.802, 4.802, 4.802 Å; angles 60.00, 60.00, 60.00 degrees
Atoms (fractional coordinates):
Dy1 0.000 0.000 0.000
Cd1 0.500 0.500 0.500
Pd1 0.250 0.250 0.250
Pd2 0.750 0.750 0.750

## Properties
total energy	-4.71	eV/atom
ΔE_f	-0.737	eV per atom

Record 2
Entry from the Materials Project: a geometry-optimized MgAlSi4O15 structure (PBE).

Cell lengths 18.235, 5.366, 12.846 Å; angles 90.00, 90.00, 90.00 degrees
Atoms (fractional coordinates):
Mg1 0.096 0.000 0.000
Mg2 0.404 0.000 0.500
Mg3 0.596 0.000 0.500
Mg4 0.904 0.000 0.000
Al1 0.157 0.500 0.000
Al2 0.343 0.500 0.500
Al3 0.657 0.500 0.500
Al4 0.843 0.500 0.000
Si1 0.086 0.310 0.215
Si2 0.086 0.690 0.785
Si3 0.165 0.199 0.784
Si4 0.165 0.801 0.216
Si5 0.335 0.199 0.716
Si6 0.335 0.801 0.284
Si7 0.414 0.310 0.285
Si8 0.414 0.690 0.715
Si9 0.586 0.310 0.285
Si10 0.586 0.690 0.715
Si11 0.665 0.199 0.716
Si12 0.665 0.801 0.284
Si13 0.835 0.199 0.784
Si14 0.835 0.801 0.216
Si15 0.914 0.310 0.215
Si16 0.914 0.690 0.785
O1 0.000 0.104 0.926
O2 0.000 0.328 0.249
O3 0.000 0.672 0.751
O4 0.000 0.896 0.074
O5 0.034 0.000 0.500
O6 0.034 0.500 0.500
O7 0.097 0.318 0.088
O8 0.097 0.682 0.912
O9 0.119 0.044 0.257
O10 0.119 0.956 0.743
O11 0.130 0.454 0.733
O12 0.130 0.546 0.267
O13 0.160 0.223 0.911
O14 0.160 0.777 0.089
O15 0.248 0.363 0.058
O16 0.248 0.637 0.942
O17 0.250 0.167 0.750
O18 0.250 0.833 0.250
O19 0.252 0.363 0.442
O20 0.252 0.637 0.558
O21 0.340 0.223 0.589
O22 0.340 0.777 0.411
O23 0.370 0.454 0.767
O24 0.370 0.546 0.233
O25 0.381 0.044 0.243
O26 0.381 0.956 0.757
O27 0.403 0.318 0.412
O28 0.403 0.682 0.588
O29 0.466 0.000 0.000
O30 0.466 0.500 0.000
O31 0.500 0.104 0.574
O32 0.500 0.328 0.251
O33 0.500 0.672 0.749
O34 0.500 0.896 0.426
O35 0.534 0.000 0.000
O36 0.534 0.500 0.000
O37 0.597 0.318 0.412
O38 0.597 0.682 0.588
O39 0.619 0.044 0.243
O40 0.619 0.956 0.757
O41 0.630 0.454 0.767
O42 0.630 0.546 0.233
O43 0.660 0.223 0.589
O44 0.660 0.777 0.411
O45 0.748 0.363 0.442
O46 0.748 0.637 0.558
O47 0.750 0.167 0.750
O48 0.750 0.833 0.250
O49 0.752 0.363 0.058
O50 0.752 0.637 0.942
O51 0.840 0.223 0.911
O52 0.840 0.777 0.089
O53 0.870 0.454 0.733
O54 0.870 0.546 0.267
O55 0.881 0.044 0.257
O56 0.881 0.956 0.743
O57 0.903 0.318 0.088
O58 0.903 0.682 0.912
O59 0.966 0.000 0.500
O60 0.966 0.500 0.500

## Properties
total energy	-6.76	eV/atom
ΔE_f	-2.049	eV per atom
total magnetic moment	0.233	μB/atom
total energy after the MP2020 corrections	-6.87	eV/atom
energy above the lowest structure with this stoichiometry	0	meV/atom

Q: Number 2 is which compound?
A: MgAlSi4O15

Q: Which of these has the highest ΔE_f?
A: DyCdPd2

Q: The lowest ΔE_f belongs to which entry?
A: MgAlSi4O15

=====

[1]
Entry from the Materials Project: a geometry-optimized Li3P2WO9 structure (GGA+U).

abc: 5.086 15.986 8.767
angles: 90.00 101.96 90.00
Fractional positions:
Li (0.225, 0.115, 0.459)
Li (0.225, 0.385, 0.959)
=====
The records of crystals stop here:

How can I join JUST?
We would love to have you in our community! The first step is to form a group of your own with 2-4 other women you trust. Afterwards, they all have to attend our orientation where they will decide whether to join JUST or not. By joining our community, each of you will have access to a first loan of $ 750 (the amount will increase over time).

Do I need to have a social security number?
We do not ask for your social security number.

Why don’t they ask for credit scores or collateral?
We value trust above all else and are opposed to judging someone based on their credit history.

Who finances JUST?
Our capital comes from investors, philanthropic foundations, and private donors.

What is a business loan?
It is a loan for women who are looking to start or grow a business with the support of a support group. This program involves weekly meetings and loans range from $750 to $10,000.

What type of business should I have?
Some of our clients just start with an idea! Others have businesses of jewelry, beauty, cleaning, food, graphic design and everything you can imagine!

What documents do I need to apply for a loan?
At JUST we do not ask you for any business plan, credit score or collateral of any kind. We do not care about your past but we invest in your future. The only thing we ask of you is a detailed quote of how you will invest your loan money in your business. We will also ask you for any valid identification. We don’t need your social security number.

How will this loan affect my credit score?
At the moment we do not offer this service but we are working so that very soon we can report your credit with the credit bureaus.

Is it necessary to have an established business? 
No, it is not necessary to have an established business! Many of our clients simply start with an idea. All we ask is that you know what you are going to invest your loan in since we will ask you for a detailed list of what you plan to buy as part of the application.

What is the interest on the loan? Do you have a hidden fee?
There are no hidden fees. Our interest is 15% APR. What does this mean? Basically, for a loan of $750, you would pay only $15 in interest. Yes, we know that seems too good to be true. JUST is a non-profit financial platform and our goal is to support you, not generate income.

What happens if I don’t make my loan payments?
We understand that sometimes we go through difficult times. If you are unable to make a payment on time, we ask that you do so as soon as you can. If you pay late, we are going to take it as a sign that perhaps your loan is too large or is causing you stress. Therefore, JUST will not increase the amount of your next loan until you are able to pay off a full loan without delays.

Are men allowed on the program?
Yes, enterprising men can also join the JUST program. He must be invited by a group leader or JETA to be part of her group.

What is a JETA?
A JETA is a leader in our community who has completed the 8-week leadership course and has formed her own group. If you want to become a JETA, the only requirements are that you have completed your first loan on time and that you complete the leadership course, then you can invite other entrepreneurs like you to your group.

How can I renew my business loan?
Once you have completed your first loan you can renew for your next loan using the JUST application. The increase in your loan will depend on the history of your payments with us.

What is the maximum loan amount they offer?
Your loan will grow over time and your commitment from $ 750 to $ 5,000. As a JETA you will have access to loans of up to $ 10,000 with registered businesses and meeting the additional requirements.

How often are payments made?
Payments to pay your loan are weekly, every Wednesday before the end of the day. Loans of $ 750 or less are paid off in 13 weeks, anything over $ 750 is 26 weeks.

How much are the weekly payments?
It depends on the amount of your loan. Payments on a $ 750 loan, for example, would be $ 60 per week for 12 weeks. The last payment will be $ 45 in week 13.

How can I make my loan payments?
You can pay in cash in stores like 7eleven, with a debit card or with your bank account as a direct payment from account to account.

What can I expect at the weekly meetings with my group?
All JUST members meet with their groups weekly for 1 hour. Meeting time is to relax and reflect on your business. In groups, they should set short-term goals and support each other to achieve those goals. The most important purpose of JUST is for our community to live with less stress and more joy.

What is a personal loan?
A versatile loan that you can use for anything. It is perfect for emergency situations or unforeseen expenses. The first loan is for $1,000 and includes a personal development course.

What do I need to apply?
It requires two participants, participant #1 receives $1,000 the first week and participant #2 receives $1,000 the tenth week. Both participants make weekly payments for 10 weeks.

What is the cost of this loan? Do you have any interest?
This loan is interest-free but the cost is $5 for the participant who receives in the 10th week and $25 for the participant who receives in the first week. The cost will be discounted when you receive your loan.

Who can I invite to participate in this loan with me?
You decide, you can invite anyone you want to commit to to make their weekly payments. We only ask that you be a person who does not live in your home and who lives within the state of Texas.

How much are the weekly payments?
Weekly payments are $100 for 10 weeks, every Wednesday.

How can I make my loan payments?
You can pay in cash in stores like 7eleven, with a debit card or with your bank account as a direct payment from account to account.

What happens if the person you invite doesn’t make their payments?
You and the person you invited are in this together. Both are responsible for the payments that must be made.

If you can't find the answer to your question here, call our customer service line.